Deep (Stage Dive, #4)(68)

College dropout pregnant with Stage Dive baby. Reportedly continuing living the high life with her numerous male friends. Grave concerns for the fetus’s health. Vicious tug-of-war over custody anticipated. Demands for millions of dollars in alimony expected. A person close to the band reports they are horrified. Ben Nicholson as yet refusing to comment.

With numb fingers I hung up on a still babbling Christy.

Reportedly. Anticipated. Expected. It was all so brutally worded, the worst inferred to perfection by the photo. Assholes. They didn’t have a clue who I was. Worse, they didn’t even care. Whatever lies would sell. Thank god I didn’t have a juvenile record for them to go poking around at, closed or open. Still, if they asked certain people about what I was up to during that misspent year of my youth … Nightmarish thoughts flooded my mind. If Ben and I did split, if something happened and things turned bad, would it be enough for him to claim full custody of Bean?


And what about when I went for a job? Who the hell was going to trust their kid to a psychologist with a background like mine?

People were talking but I couldn’t quite make out the words. It was like being underwater, the noises distant gibberish. The bubbles in my ears made hearing anything impossible.

Hands held my face, tipping it up. Then he was looking down at me, dark eyes intent. “Sweetheart?”

The bubbles burst, reality intruding, pushing the shock aside. “Ben?”

“Let’s go up to the suite.”

“Yes,” I said, taking Ben’s hand and letting him lead me, shelter me with his body.

There was yelling behind us. A sudden scuffle and the clicking of cameras. Security closed in. Everything happened so fast. I guess the paparazzi had been following Ben, figuring he’d lead them to me—knocked-up party girl, money-hungry whore extraordinaire in a bikini top.

Mal and Anne followed close behind, piling into the elevator. Soft pan flute music filled the air. No one said anything. Worse yet, no one even looked that surprised. Apart from me, that is. The whites of my eyes and pale face were perfectly reflected in the shiny metal doors. They slid open and Anne grabbed at my arm.

“Let me talk to her.”

- - -
# 1
{
  "formula": "C4H12N2O",
  "method": "ωB97M-V/def2-TZVPD",
  "elements": ["C", "C", "C", "N", "H", "H", "H", "H", "H", "H", "H", "H", "H", "N", "C", "O", "H", "H", "H"],
  "coordinates": [[0.8560, 1.8402, 0.3222], [-0.9350, 0.0081, 0.3363], [-1.7380, 0.2212, -0.9306], [1.7863, 1.4131, 1.1156], [1.7361, 1.7592, 2.0676], [1.9573, 0.1638, 0.9236], [0.8977, 1.5692, -0.7249], [0.1635, 2.6270, 0.6001], [-1.1140, 0.8051, 1.0586], [-1.2168, -0.8962, 0.8746], [-2.8186, 0.2651, -0.7560], [-1.4575, 1.1532, -1.4325], [-1.5775, -0.5773, -1.6644], [0.3058, -2.3758, -0.4329], [0.7938, -1.0872, -0.2406], [1.7466, -0.9890, 0.6393], [0.2558, -2.9134, 0.4223], [-0.5345, -2.4405, -0.9893], [0.8930, -0.5460, -1.1891]],
  "nbo_charge": [0.057, -0.614, -0.638, -0.696, 0.371, 0.464, 0.186, 0.182, 0.180, 0.192, 0.206, 0.187, 0.185, -0.835, 0.442, -0.740, 0.378, 0.374, 0.118],
  "e_lumo_ev": 0.6,
  "de_lowest_kcal_mol": 98.2,
  "orbital_gap_ev": 7.93,
  "e_homo_ev": -7.30
}

---

# 2
{
  "formula": "C4H12N2O",
  "method": "ωB97M-V/def2-TZVPD",
  "elements": ["C", "C", "C", "C", "N", "N", "H", "H", "H", "H", "H", "H", "H", "H", "H", "H", "H", "H", "O"],
  "coordinates": [[0.2746, 1.2342, -0.7741], [-0.7659, -0.0093, -0.8418], [0.0316, -1.3043, -0.9660], [0.0159, -2.3310, -0.1717], [0.6572, -1.3453, -2.2334], [0.5192, 1.3484, 0.6931], [1.1633, 1.0411, -1.5595], [-0.3328, 2.1430, -1.1810], [-1.4366, 0.1815, -1.7210], [-1.4993, -0.0158, 0.0222], [0.5433, -3.2891, -0.3950], [-0.1648, -2.4095, 0.9419], [0.7466, -0.5757, -2.7571], [1.4314, -2.0790, -2.1798], [1.2043, 0.5460, 0.8463], [1.0814, 2.2341, 0.7996], [-1.5684, 1.0402, 3.4133], [-0.4827, 1.7843, 2.6393], [-0.7822, 1.7299, 3.5544]],
  "nbo_charge": [-0.225, -0.455, 0.169, -0.526, -0.825, -0.857, 0.176, 0.195, 0.220, 0.233, 0.192, 0.220, 0.374, 0.384, 0.368, 0.363, 0.461, 0.483, -0.950],
  "e_lumo_ev": 0.8,
  "de_lowest_kcal_mol": 66.8,
  "orbital_gap_ev": 9.26,
  "e_homo_ev": -8.44,
  "smiles": "C=C(N)CCN.O"
}

---

# 3
{
  "formula": "C4H12N2O",
  "method": "ωB97M-V/def2-TZVPD",
  "elements": ["C", "C", "C", "C", "N", "N", "O", "H", "H", "H", "H", "H", "H", "H", "H", "H", "H", "H", "H"],
  "coordinates": [[0.2518, 0.0797, 0.9295], [-1.2412, -1.0318, -0.7159], [0.2004, 2.0827, -1.3460], [1.2253, -1.0709, 1.1128], [-0.7414, 0.1749, -0.0788], [0.4786, 0.7793, -0.7703], [-0.9856, -0.2408, 2.1757], [-1.3462, -1.1355, 2.2001], [0.9603, 0.1400, -1.3999], [0.5427, 1.0087, 1.4120], [-1.7016, -0.7331, -1.6592], [-1.9679, -1.4562, -0.0277], [-0.4848, -1.7943, -0.9381], [1.1406, 2.5912, -1.5633], [-0.3895, 2.0127, -2.2649], [-0.3566, 2.6605, -0.6113], [1.3423, -1.2394, 2.1790], [2.1981, -0.8214, 0.6866], [0.8748, -2.0064, 0.6796]],
  "nbo_charge": [0.293, -0.437, -0.410, -0.672, -0.262, -0.469, -0.932, 0.432, 0.359, 0.211, 0.211, 0.228, 0.170, 0.201, 0.182, 0.217, 0.254, 0.215, 0.210],
  "e_lumo_ev": 0.8,
  "de_lowest_kcal_mol": 111.8,
  "orbital_gap_ev": 9.60,
  "e_homo_ev": -8.77
}

---

# 4
- - -

“Later,” said Ben. “Right now she needs to lie down and chill out before she falls down.”

“I’m not going to fall down.” But I held on tight to his hand just in case. “I’m fine.”

Anne let me go without further comment. Just as well. I couldn’t dump all of this on her. She was still in blushing bride, newly married mode. No way should I be messing with that. Lately she’d taken on more than her share of big-sisterly duties, accompanying me on doctors’ visits, staying behind with me in Portland.

The suite seemed eerily quiet after all of the commotion downstairs. All of the noise and thoughts continued rattling around in my head, however. Out beyond the floor-to-ceiling windows the city carried on. Christ, this was really happening.

“Come and sit down.” He led me to the suede couch.

I disentangled my hand from his, shaking with some emotion. I just wasn’t sure which, yet. “No. I … I don’t want to sit.”

Ben collapsed on the couch, crossing his legs, ankle to knee. His arms spread out along the back of the couch, watching me pace back and forth. So many words were crammed inside me, fighting to get out. If I could just think straight. No point taking it personally, the journalists and photographers were just doing their jobs. Didn’t make them any less of a bunch of gossip-mongering asshats, but there you go.

“I feel so … so powerless.”

• Unrelated to this page: calculated molecules:
-- begin --
[1]
{
  "formula": "C30H75In2N5Na2O18P2",
  "method": "wB97M-V/def2-TZVPD",
  "de_lowest_kj_mol": 993.7,
  "total_charge": 2,
  "max_force_ev_per_a": 3.989,
  "lumo_energy_ev": -9.8,
  "elements": ["In", "In", "Na", "Na", "P", "O", "O", "O", "O", "P", "O", "O", "O", "O", "C", "O", "C", "C", "N", "C", "C", "O", "C", "H", "H", "H", "H", "H", "H", "H", "H", "H", "H", "H", "H", "H", "H", "H", "C", "O", "C", "C", "N", "C", "C", "O", "C", "H", "H", "H", "H", "H", "H", "H", "H", "H", "H", "H", "H", "H", "H", "H", "C", "O", "C", "C", "N", "C", "C", "O", "C", "H", "H", "H", "H", "H", "H", "H", "H", "H", "H", "H", "H", "H", "H", "H", "C", "O", "C", "C", "N", "C", "C", "O", "C", "H", "H", "H", "H", "H", "H", "H", "H", "H", "H", "H", "H", "H", "H", "H", "C", "O", "C", "C", "N", "C", "C", "O", "C", "H", "H", "H", "H", "H", "H", "H", "H", "H", "H", "H", "H", "H", "H", "H"],
-- stop --

“I know,” he said.

“They basically made me out to be some alcoholic who has orgies every night of the week ending in Y.” I rubbed my hands against the sides of my jeans. Still staying up by virtue of a hairband. Though pants weren’t much of a problem in the scale of things right now.

“You’re not,” he said, so certain.

“My numerous male friends,” I sneered.

“It’s bullshit.”

“Why does it always come down to sex with women in the media? How many people have you slept with?” I asked, hands on hips. “Well?”

His tongue played behind his cheek. “I, ah, I didn’t really keep count.”

“They didn’t infer you were some kind of slut, and you’ve probably slept with dozens more people than me.”

He gave a careful nod.

“Hundreds?” I hazarded.

He cleared his throat, turning away and scratching at his beard.

“Right. Not that it matters. And yet I’m the slut because I’m the woman. Like it’s anyone’s f*cking business how many either of us has slept with or if I enjoy going out for a beer occasionally. I’m not getting behind the wheel of a car and driving drunk. I’m having a few drinks with friends at a party and organizing to get home safely. And if I’m taking someone home, that is none of their business. Those hypocritical motherf*ckers, condemning me for these things. What consenting adults do in private should not be entertainment for the world at large. Nor is it in any way a viable judge of a person’s character.”


“Mother-fire-truckers.” I gave my belly a pat of apology. “Sorry, baby.”


“That double standard between men and women drives me insane.”

Kylie Scott's Books